**To do**
Your job: work out how many lines underneath have the word "X-ray" in them; a number is enough.

**Listing**
┌──
The following is a theoretical X-ray powder pattern of Cs3AcAg2F9. It was derived from DFT lattice parameters and positions (GGA-PBE), using Cu Ka.

Principal peaks in the range 2θ = 10–90°, by intensity:
| d_spacing | Rel. int. | index |
| --- | --- | --- |
| 3.405 | 100.0 | 0 1 2 |
| 3.310 | 96.9 | 1 1 0 |
| 2.374 | 63.9 | 2 0 2 |
| 1.929 | 41.1 | 1 2 2 |
| 1.655 | 20.8 | 2 2 0 |
| 1.911 | 20.6 | 3 0 0 |
| 4.747 | 19.2 | 0 1 1 |
| 1.489 | 18.0 | 3 1 2 |
| 1.702 | 14.8 | 0 2 4 |
| 1.985 | 13.2 | 1 0 4 |

Structural model:
```
data_Cs3AcAg2F9
_space_group_name_H-M_alt 'P 1'
_space_group_IT_number 1
_cell_length_a 6.6209
_cell_length_b 6.6209
_cell_length_c 8.4635
_cell_angle_alpha 90.00
_cell_angle_beta 90.00
_cell_angle_gamma 120.00
loop_
_space_group_symop_operation_xyz
'x,y,z'
loop_
_atom_site_label
_atom_site_fract_x
_atom_site_fract_y
_atom_site_fract_z
_atom_site_occupancy
Cs1 0.0000 0.0000 0.0000 1
Cs2 0.3333 0.6667 0.7178 1
Cs3 0.6667 0.3333 0.2822 1
Ac1 0.0000 0.0000 0.5000 1
Ag1 0.3333 0.6667 0.1565 1
Ag2 0.6667 0.3333 0.8435 1
F1 0.0000 0.5000 0.0000 1
F2 0.1657 0.3315 0.3266 1
F3 0.1657 0.8343 0.3266 1
F4 0.3315 0.1657 0.6734 1
F5 0.5000 0.0000 0.0000 1
F6 0.5000 0.5000 0.0000 1
F7 0.6685 0.8343 0.3266 1
F8 0.8343 0.1657 0.6734 1
F9 0.8343 0.6685 0.6734 1
```

* * * * *

Record 1
KHCO3: calculated XRD peak list (Cu Kα, 1.54184 Å), based on a PBE-relaxed structure.
Neutral-atom scattering factors, no anomalous dispersion.

Structure:
Unit cell a=5.589 b=5.589 c=11.050 alpha=104.20 beta=104.20 gamma=72.81
Sites, in units of the cell vectors:
K (0.018, 0.702, 0.864)
K (0.298, 0.982, 0.636)
K (0.702, 0.018, 0.364)
K (0.982, 0.298, 0.136)
H (0.385, 0.581, 0.354)
H (0.419, 0.615, 0.146)
H (0.581, 0.385, 0.854)
H (0.615, 0.419, 0.646)
C (0.091, 0.456, 0.450)
C (0.456, 0.091, 0.950)
C (0.544, 0.909, 0.050)
C (0.909, 0.544, 0.550)
O (0.140, 0.636, 0.415)
O (0.173, 0.221, 0.410)
O (0.221, 0.173, 0.910)
O (0.364, 0.860, 0.085)
O (0.453, 0.455, 0.682)
O (0.455, 0.453, 0.182)
O (0.545, 0.547, 0.818)
O (0.547, 0.545, 0.318)
O (0.636, 0.140, 0.915)
O (0.779, 0.827, 0.090)
O (0.827, 0.779, 0.590)
O (0.860, 0.364, 0.585)

Top 6 peaks for 5° ≤ 2θ ≤ 70°, sorted by position:
2θ 28.20, I 46
2θ 30.66, I 58
2θ 33.64, I 55
2θ 34.13, I 83
2θ 35.24, I 100
2θ 46.99, I 35



Record 2
KHCO3: calculated XRD peak list (Cu Kα, 1.54184 Å), based on a PBE-relaxed structure.
Neutral-atom scattering factors, no anomalous dispersion.

Structure:
Unit cell a=3.781 b=5.710 c=8.088 alpha=70.22 beta=77.39 gamma=89.98
Sites, in units of the cell vectors:
K (0.035, 0.168, 0.170)
K (0.965, 0.832, 0.830)
H (0.484, 0.701, 0.465)
H (0.516, 0.299, 0.535)
C (0.384, 0.611, 0.262)
C (0.616, 0.389, 0.738)
O (0.291, 0.695, 0.113)
O (0.431, 0.784, 0.340)
O (0.434, 0.384, 0.344)
O (0.566, 0.616, 0.656)
O (0.569, 0.216, 0.660)
O (0.709, 0.305, 0.887)

Top 6 peaks for 5° ≤ 2θ ≤ 70°, sorted by position:
2θ 24.04, I 75
2θ 29.52, I 100
2θ 30.57, I 45
2θ 30.78, I 46
2θ 30.90, I 41
2θ 38.95, I 48

* * * * *

For RbSO2F, a PBE-relaxed structure gives the computed powder diffractogram in this record (Cu Kα, 1.54184 Å).
No peak broadening, texture or thermal motion is included.

Crystal structure
```
RbSO2F
1.0
4.886 0.000 0.000
0.000 6.030 0.000
-2.261 0.000 7.046
Rb S O F
2 2 4 2
direct
0.157 0.250 0.285
0.843 0.750 0.715
0.399 0.250 0.816
0.601 0.750 0.184
0.335 0.047 0.698
0.335 0.453 0.698
0.665 0.547 0.302
0.665 0.953 0.302
0.208 0.750 0.123
0.792 0.250 0.877
```

Principal peaks in the range 10° ≤ 2θ ≤ 90°, by angle:
Position (°2θ), I/Imax
24.16, 712
24.41, 1000
25.28, 802
29.36, 374
29.63, 397
40.25, 416

=====

For RbSbSO4F2, a PBE-relaxed structure gives the computed powder diffractogram in this record (Cu Kα, 1.54184 Å).
No peak broadening, texture or thermal motion is included.

Crystal structure
```
RbSbSO4F2
1.0
9.761 0.000 0.000
0.000 11.637 0.000
0.000 0.000 5.417
Rb Sb S O F
4 4 4 16 8
direct
0.016 0.159 0.000
0.484 0.659 0.500
0.516 0.341 0.000
└──

**Solution**
1